The introduction of “full screen” cockpits is evident both in fighter jets and on human carrying spacecraft. For example, the latest F-35 stealth jet fighter in its various vanilla F-35A, hooked carrier F-35C and vertical landing F-35B guises has no HUD (Head Up Display). It relies on a helmet mounted one instead.
Surprisingly there is now a full flat screen display that uses touch-screen technology, and pilots love it, except for the touch-screen part. Their complaint is that there is too little feedback using touch-screen switches and that they make selection errors using it, especially during high-g manoeuvres. What they really want are physical controls and switches to give them positive tactile feedback, as in the old 1960s jets. Those workhorses did not have the benefit of HUD or helmet mounted displays or even computer screens, severely limiting a pilot’s situational awareness, but they did have good old switches and buttons that worked.

The F-35 cockpit is almost switchless. Courtesy: Lockheed Martin via
That said, using a single touch-screen system to control everything cuts down on the wiring, which reduces both weight and the chance of a deadly short circuit – the trigger for the fatal Apollo 1 test fire in 1967. However, if the screens go down you lose everything. At least the ejection handle is still manual on a jet fighter.
So how does this technological change affect spaceflight? Well, SpaceX’s Crew Dragon uses full touch-screens for its astronauts to control the spacecraft. And you can bet that its Starship derived Human Landing System (HLS) – to be used on the Artemis 3 astronaut lunar landing mission – will use the same technology.

The Crew Dragon – Axiom 2 astronauts check their flight track before re-entry. There are very few switches and buttons. Courtesy: Axiom Space
However, there is one other advantage to the old technology: relatively easy reparability. The NASA Apollo lunar lander had push-in circuit breaker switches. When one fell off during Apollo 11’s lunar stay in 1969 – the one arming the lunar ascent engine, threatening to maroon Neil Armstrong and Buzz Aldrin on the Moon (gulp!) – Aldrin came up with the ingenious fix of simply pushing his pen into the hole to trigger it during the ascent. Try doing that if your touch-screen has gone down.

Someone pasted crystal structures at this point:
- - -
First-principles (PBE) data for crystalline CaCeO3 at its relaxed geometry, as listed in the Materials Project.

Cell lengths 6.0622, 8.5126, 5.8407 Å; angles 90.00, 90.00, 90.00 degrees
Last column: nearest neighbours and their distance in Å.
Atoms (fractional coordinates):
Ca 0.0508 0.2500 0.0121  4 O 2.35-2.45
Ca 0.4492 0.7500 0.5121  4 O 2.35-2.45
Ca 0.5508 0.2500 0.4879  4 O 2.35-2.45
Ca 0.9492 0.7500 0.9879  4 O 2.35-2.45
Ce 0.0000 0.0000 0.5000  6 O 2.23-2.30
Ce 0.0000 0.5000 0.5000  6 O 2.23-2.30
Ce 0.5000 0.0000 0.0000  6 O 2.23-2.30
Ce 0.5000 0.5000 0.0000  6 O 2.23-2.30
O 0.0686 0.7500 0.3698  2 Ce 2.30, 2 Ca 2.35-2.45
O 0.1891 0.5699 0.8121  2 Ce 2.23-2.26, 1 Ca 2.35
O 0.1891 0.9301 0.8121  2 Ce 2.23-2.26, 1 Ca 2.35
O 0.3109 0.0699 0.3121  2 Ce 2.23-2.26, 1 Ca 2.35
O 0.3109 0.4301 0.3121  2 Ce 2.23-2.26, 1 Ca 2.35
O 0.4314 0.2500 0.8698  2 Ce 2.30, 2 Ca 2.35-2.45
O 0.5686 0.7500 0.1302  2 Ce 2.30, 2 Ca 2.35-2.45
O 0.6891 0.5699 0.6879  2 Ce 2.23-2.26, 1 Ca 2.35
O 0.6891 0.9301 0.6879  2 Ce 2.23-2.26, 1 Ca 2.35
O 0.8109 0.0699 0.1879  2 Ce 2.23-2.26, 1 Ca 2.35
O 0.8109 0.4301 0.1879  2 Ce 2.23-2.26, 1 Ca 2.35
O 0.9314 0.2500 0.6302  2 Ce 2.30, 2 Ca 2.35-2.45

Values from the calculation:
space group = Pnma (62)
calculated total energy = -7.765 eV/atom
E_form = -349.3 kJ/mol of atoms
total magnetization = 0.00 μB per formula unit

***

First-principles (PBE) data for crystalline SrCaCeTiO6 at its relaxed geometry, as listed in the Materials Project.

Cell lengths 5.8868, 5.8868, 5.8868 Å; angles 60.00, 60.00, 60.00 degrees
Last column: nearest neighbours and their distance in Å.
Atoms (fractional coordinates):
Sr 0.0000 0.0000 0.0000  12 O 2.95
Ca 0.5000 0.5000 0.5000  12 O 2.95
Ce 0.7500 0.7500 0.7500  6 O 2.20
Ti 0.2500 0.2500 0.2500  6 O 1.96
O 0.0143 0.0143 0.4857  1 Ti 1.96
O 0.0143 0.4857 0.0143  1 Ti 1.96
O 0.0143 0.4857 0.4857  1 Ti 1.96
O 0.4857 0.0143 0.0143  1 Ti 1.96
O 0.4857 0.0143 0.4857  1 Ti 1.96
O 0.4857 0.4857 0.0143  1 Ti 1.96

Values from the calculation:
space group = F-43m (216)
calculated total energy = -7.735 eV/atom
E_form = -330.6 kJ/mol of atoms
total magnetization = 0.00 μB per formula unit

***

First-principles (PBE) data for crystalline CaCe2S4 at its relaxed geometry, as listed in the Materials Project.

Cell lengths 7.4128, 7.4128, 7.4128 Å; angles 109.74, 109.74, 108.94 degrees
Last column: nearest neighbours and their distance in Å.
Atoms (fractional coordinates):
Ca 0.0000 0.0000 0.0000  8 S 2.85-3.09
Ca 0.7500 0.2500 0.5000  8 S 2.85-3.09
Ce 0.2468 0.6250 0.1218  8 S 2.86-3.08
Ce 0.3750 0.4968 0.6218  8 S 2.86-3.08
Ce 0.5032 0.1250 0.8782  8 S 2.86-3.08
Ce 0.8750 0.7532 0.3782  8 S 2.86-3.08
S 0.1255 0.2297 0.7477  2 Ca 2.85-3.09, 4 Ce 2.86-3.08
S 0.1278 0.7319 0.7523  2 Ca 2.85-3.09, 4 Ce 2.86-3.08
S 0.2681 0.0203 0.3959  2 Ca 2.85-3.09, 4 Ce 2.86-3.08
S 0.4819 0.3778 0.2523  2 Ca 2.85-3.09, 4 Ce 2.86-3.08
S 0.6222 0.8745 0.1041  2 Ca 2.85-3.09, 4 Ce 2.86-3.08
- - -

Buzz Aldrin’s side of the Apollo 11 Lunar Module cockpit. Note the many switches. Courtesy: NASA
Post Script: For ’60s and ’70s kids, getting to fly an F-4 Phantom (in a real motion simulator) is a thrill. This writer managed to do it at Aerospace Experience in Peterborough, UK, during a trip that was made even better when he discovered that what he was sitting in was created from a real ex-US Navy cockpit. The cockpit instruments are genuine US Phantom types, although it looks like the control grip has been replaced by one from a Tornado.F3. The front-only visual display is pretty basic – about the equivalent of a Microsoft Flight Sim early edition – but was state of the art in the mid 1980s when the RAF had these simulators built for newly acquired ex-US Navy supersonic F-4J (UK) Phantoms.

The many “clockwork” dials in the F-4J Phantom simulator can confuse but at least the switches – mainly down the sides of the cockpit – give positive feedback to the pilot. Courtesy: Aerospace Experience
Not all old technology is bad. Apart from that era’s better physical switches, the analogue “clockwork” cockpits are at least more interesting to look at than modern ones – especially when not in a fired-up condition. However, you can tell why 1960s and 1970s pilots complained about the workload and about having to look down all the time in that pre-HUD/helmet mounted display era. Older cockpits can be complicated. Aerospace Experience even send customers a diagram of an F-4J Phantom cockpit before they arrive to give them a head start on where the main controls and instruments are eg throttles, flaps, speed brakes, altimeter, compass, airspeed indicator etc. By the way, except for low speeds, the airspeed element of the combined Mach/airspeed indicator is particularly small.
The visit to this F-4 Phantom simulator was pricey but worth it. If you are good enough at flying the runway circuits, they let you try to land on a carrier (just as your correspondent’s late ex-Royal Navy Buccaneer pilot boss Andrew Gleadow and ex-US Navy aviator Neil Armstrong used to do – brave men both). Of course, your correspondent hit the bridge superstructure on his first carrier landing attempt but managed to trap the wire with his arrestor hook to land safely on his second try. Maverick (Tom Cruise), eat your heart out!